(Listing)
-- begin --
18
Properties=species:S:1:pos:R:3:forces:R:3:mulliken_spin:R:1 method="wB97M-V/def2-TZVPD" multiplicity=2 de_lowest_kcal_mol=0.0 total_charge=-1 homo_energy_ev="-4.079 / -4.078"
F 2.007 3.159 0.594 -0.17 -0.27 0.06 0.00
O -3.270 -1.068 -0.828 -0.04 0.41 -0.15 0.29
C -3.053 0.135 -1.038 0.08 -0.33 0.23 0.02
C -1.869 0.821 -0.648 0.37 0.25 -0.08 0.45
O -0.902 0.182 -0.040 0.40 -0.24 0.30 0.20
H -3.804 0.772 -1.547 0.11 -0.06 0.04 0.00
H -1.731 1.881 -0.891 -0.02 -0.24 0.13 0.04
C 0.344 0.960 0.358 -0.71 -0.38 -0.29 0.02
C 1.336 0.024 1.017 -0.26 0.24 0.43 0.01
O 2.042 -0.802 0.126 0.26 -0.31 -0.23 0.00
C 1.430 -2.035 -0.172 -0.20 0.02 -0.07 0.00
H -0.018 1.676 1.111 0.52 0.21 -0.76 -0.01
H 0.747 1.334 -0.594 -0.10 0.50 0.80 -0.01
H 2.078 0.650 1.532 -0.29 0.11 -0.38 0.00
H 0.823 -0.577 1.788 0.01 -0.02 -0.17 0.00
H 2.134 -2.609 -0.786 -0.12 0.13 0.14 0.00
H 1.215 -2.599 0.751 0.00 0.06 -0.18 0.00
H 0.491 -1.904 -0.733 0.16 -0.07 0.16 0.00



18
Properties=species:S:1:pos:R:3:forces:R:3:mulliken_charge:R:1 method="wB97M-V/def2-TZVPD" de_lowest_kcal_mol=23.6 homo_energy_ev=-8.640 smiles="S=C1CC[C@H]1CCS"
S -0.261 -0.955 1.928 0.07 -0.32 0.15 -0.28
C -0.553 0.395 1.132 0.09 0.86 -0.06 -0.05
C -1.005 1.786 1.551 0.67 0.99 1.98 -0.43
C -1.356 2.102 0.093 -0.23 -0.23 -0.77 -0.86
C -0.637 0.759 -0.345 -1.34 -0.20 -0.39 0.38
C 0.707 0.952 -1.037 0.26 -0.88 -0.65 -0.73
C 1.572 -0.331 -1.094 -0.98 -0.32 0.91 -0.78
S 0.758 -1.760 -1.904 0.01 0.08 0.27 -0.22
H -0.182 2.464 2.035 -1.12 -1.34 -1.13 0.20
H -1.793 1.802 2.341 0.30 -0.13 -0.74 0.30
H -2.433 2.120 -0.157 0.50 -0.16 0.34 0.28
H -0.927 3.017 -0.319 0.13 -0.11 0.06 0.31
H -1.326 0.020 -0.891 1.19 1.05 0.51 0.36
H 0.585 1.325 -2.080 -0.23 -0.27 0.66 0.32
H 1.332 1.686 -0.541 -0.12 0.37 0.38 0.34
H 2.424 -0.075 -1.678 0.85 -0.15 -0.48 0.40
H 1.912 -0.691 -0.093 -0.29 0.54 -0.76 0.33
H 0.086 -2.202 -0.810 0.23 0.21 -0.28 0.13



48
Properties=species:S:1:pos:R:3:forces:R:3:mulliken_charge:R:1 method="wB97M-V/def2-TZVPD" de_lowest_kcal_mol=0.0 total_charge=+1 homo_energy_ev=-10.707
Hg 1.259 0.313 -1.162 -0.55 0.11 0.18 0.60
C -0.661 3.313 -0.866 -0.10 -0.02 0.05 -1.31
Ge -0.970 1.396 -0.680 0.38 -0.05 -0.31 0.48
C -2.187 0.690 -2.019 -0.15 0.07 0.11 0.56
C -3.515 1.113 -1.947 -0.03 0.00 0.01 -0.43
C -4.457 0.652 -2.855 0.03 -0.01 -0.01 -0.70
C -4.080 -0.241 -3.848 0.00 0.00 0.00 -0.44
C -2.764 -0.670 -3.929 -0.01 -0.01 -0.01 -0.68
C -1.825 -0.206 -3.019 0.07 0.00 -0.03 0.07
C -1.359 0.899 1.151 -0.12 0.12 0.03 1.17
C -1.461 1.910 2.074 0.04 -0.02 0.01 -0.43
C -1.767 1.643 3.427 0.01 -0.03 0.00 -0.91
C -1.960 0.357 3.835 -0.01 0.03 0.03 -0.78
C -1.862 -0.720 2.920 0.01 0.00 -0.01 0.78
C -2.059 -2.058 3.339 0.00 -0.02 -0.02 -0.80
C -1.967 -3.091 2.451 0.00 0.01 0.02 -0.52
C -1.676 -2.829 1.096 0.01 0.00 -0.02 -1.04
C -1.483 -1.547 0.664 0.00 -0.03 0.01 -0.24
C -1.565 -0.453 1.561 0.02 -0.02 0.00 -0.03
H -1.590 3.869 -0.733 -0.01 -0.03 0.01 0.41
H -0.283 3.516 -1.866 0.00 0.01 0.00 0.39
H 0.062 3.664 -0.130 0.01 0.01 -0.02 0.40
H -3.832 1.805 -1.173 0.02 -0.01 0.01 0.37
H -5.483 0.989 -2.787 0.00 0.00 0.00 0.39
H -4.813 -0.604 -4.556 0.00 0.00 0.00 0.39
H -2.467 -1.367 -4.702 0.00 0.00 0.00 0.39
H -0.800 -0.555 -3.103 -0.01 0.01 0.01 0.08
H -1.306 2.941 1.775 -0.02 0.00 -0.01 0.38
H -1.848 2.461 4.130 0.00 0.00 0.00 0.40
H -2.199 0.139 4.869 0.00 0.00 0.00 0.39
H -2.288 -2.248 4.381 0.00 0.00 0.00 0.39
H -2.125 -4.109 2.779 0.00 0.00 0.00 0.40
H -1.618 -3.650 0.393 -0.01 0.00 0.00 0.43
H -1.290 -1.367 -0.388 -0.02 0.00 0.00 0.21
C 5.899 -1.486 -1.124 -0.05 -0.02 -0.05 -1.04
As 4.454 -0.495 -0.369 0.14 -0.07 0.05 0.79
C 4.934 1.358 -0.295 -0.06 0.01 -0.01 -1.02
C 4.130 -1.093 1.420 -0.07 0.01 -0.02 -1.00
O 3.088 -0.735 -1.325 0.40 -0.04 -0.01 -0.74
H 6.791 -1.362 -0.513 0.00 0.00 0.00 0.38
H 6.082 -1.120 -2.133 0.01 0.00 0.01 0.35
H 5.617 -2.536 -1.166 0.00 0.00 0.01 0.35
H 5.884 1.474 0.224 0.01 -0.01 0.00 0.39
H 4.160 1.903 0.244 0.01 0.00 -0.01 0.34
-- stop --

(Job)
The reader should duplicate everything further up word for word.

(Worked solution)
18
Properties=species:S:1:pos:R:3:forces:R:3:mulliken_spin:R:1 method="wB97M-V/def2-TZVPD" multiplicity=2 de_lowest_kcal_mol=0.0 total_charge=-1 homo_energy_ev="-4.079 / -4.078"
F 2.007 3.159 0.594 -0.17 -0.27 0.06 0.00
O -3.270 -1.068 -0.828 -0.04 0.41 -0.15 0.29
C -3.053 0.135 -1.038 0.08 -0.33 0.23 0.02
C -1.869 0.821 -0.648 0.37 0.25 -0.08 0.45
O -0.902 0.182 -0.040 0.40 -0.24 0.30 0.20
H -3.804 0.772 -1.547 0.11 -0.06 0.04 0.00
H -1.731 1.881 -0.891 -0.02 -0.24 0.13 0.04
C 0.344 0.960 0.358 -0.71 -0.38 -0.29 0.02
C 1.336 0.024 1.017 -0.26 0.24 0.43 0.01
O 2.042 -0.802 0.126 0.26 -0.31 -0.23 0.00
C 1.430 -2.035 -0.172 -0.20 0.02 -0.07 0.00
H -0.018 1.676 1.111 0.52 0.21 -0.76 -0.01
H 0.747 1.334 -0.594 -0.10 0.50 0.80 -0.01
H 2.078 0.650 1.532 -0.29 0.11 -0.38 0.00
H 0.823 -0.577 1.788 0.01 -0.02 -0.17 0.00
H 2.134 -2.609 -0.786 -0.12 0.13 0.14 0.00
H 1.215 -2.599 0.751 0.00 0.06 -0.18 0.00
H 0.491 -1.904 -0.733 0.16 -0.07 0.16 0.00



18
Properties=species:S:1:pos:R:3:forces:R:3:mulliken_charge:R:1 method="wB97M-V/def2-TZVPD" de_lowest_kcal_mol=23.6 homo_energy_ev=-8.640 smiles="S=C1CC[C@H]1CCS"
S -0.261 -0.955 1.928 0.07 -0.32 0.15 -0.28
C -0.553 0.395 1.132 0.09 0.86 -0.06 -0.05
C -1.005 1.786 1.551 0.67 0.99 1.98 -0.43
C -1.356 2.102 0.093 -0.23 -0.23 -0.77 -0.86
C -0.637 0.759 -0.345 -1.34 -0.20 -0.39 0.38
C 0.707 0.952 -1.037 0.26 -0.88 -0.65 -0.73
C 1.572 -0.331 -1.094 -0.98 -0.32 0.91 -0.78
S 0.758 -1.760 -1.904 0.01 0.08 0.27 -0.22
H -0.182 2.464 2.035 -1.12 -1.34 -1.13 0.20
H -1.793 1.802 2.341 0.30 -0.13 -0.74 0.30
H -2.433 2.120 -0.157 0.50 -0.16 0.34 0.28
H -0.927 3.017 -0.319 0.13 -0.11 0.06 0.31
H -1.326 0.020 -0.891 1.19 1.05 0.51 0.36
H 0.585 1.325 -2.080 -0.23 -0.27 0.66 0.32
H 1.332 1.686 -0.541 -0.12 0.37 0.38 0.34
H 2.424 -0.075 -1.678 0.85 -0.15 -0.48 0.40
H 1.912 -0.691 -0.093 -0.29 0.54 -0.76 0.33
H 0.086 -2.202 -0.810 0.23 0.21 -0.28 0.13



48
Properties=species:S:1:pos:R:3:forces:R:3:mulliken_charge:R:1 method="wB97M-V/def2-TZVPD" de_lowest_kcal_mol=0.0 total_charge=+1 homo_energy_ev=-10.707
Hg 1.259 0.313 -1.162 -0.55 0.11 0.18 0.60
C -0.661 3.313 -0.866 -0.10 -0.02 0.05 -1.31
Ge -0.970 1.396 -0.680 0.38 -0.05 -0.31 0.48
C -2.187 0.690 -2.019 -0.15 0.07 0.11 0.56
C -3.515 1.113 -1.947 -0.03 0.00 0.01 -0.43
C -4.457 0.652 -2.855 0.03 -0.01 -0.01 -0.70
C -4.080 -0.241 -3.848 0.00 0.00 0.00 -0.44
C -2.764 -0.670 -3.929 -0.01 -0.01 -0.01 -0.68
C -1.825 -0.206 -3.019 0.07 0.00 -0.03 0.07
C -1.359 0.899 1.151 -0.12 0.12 0.03 1.17
C -1.461 1.910 2.074 0.04 -0.02 0.01 -0.43
C -1.767 1.643 3.427 0.01 -0.03 0.00 -0.91
C -1.960 0.357 3.835 -0.01 0.03 0.03 -0.78
C -1.862 -0.720 2.920 0.01 0.00 -0.01 0.78
C -2.059 -2.058 3.339 0.00 -0.02 -0.02 -0.80
C -1.967 -3.091 2.451 0.00 0.01 0.02 -0.52
C -1.676 -2.829 1.096 0.01 0.00 -0.02 -1.04
C -1.483 -1.547 0.664 0.00 -0.03 0.01 -0.24
C -1.565 -0.453 1.561 0.02 -0.02 0.00 -0.03
H -1.590 3.869 -0.733 -0.01 -0.03 0.01 0.41
H -0.283 3.516 -1.866 0.00 0.01 0.00 0.39
H 0.062 3.664 -0.130 0.01 0.01 -0.02 0.40
H -3.832 1.805 -1.173 0.02 -0.01 0.01 0.37
H -5.483 0.989 -2.787 0.00 0.00 0.00 0.39
H -4.813 -0.604 -4.556 0.00 0.00 0.00 0.39
H -2.467 -1.367 -4.702 0.00 0.00 0.00 0.39
H -0.800 -0.555 -3.103 -0.01 0.01 0.01 0.08
H -1.306 2.941 1.775 -0.02 0.00 -0.01 0.38
H -1.848 2.461 4.130 0.00 0.00 0.00 0.40
H -2.199 0.139 4.869 0.00 0.00 0.00 0.39
H -2.288 -2.248 4.381 0.00 0.00 0.00 0.39
H -2.125 -4.109 2.779 0.00 0.00 0.00 0.40
H -1.618 -3.650 0.393 -0.01 0.00 0.00 0.43
H -1.290 -1.367 -0.388 -0.02 0.00 0.00 0.21
C 5.899 -1.486 -1.124 -0.05 -0.02 -0.05 -1.04
As 4.454 -0.495 -0.369 0.14 -0.07 0.05 0.79
C 4.934 1.358 -0.295 -0.06 0.01 -0.01 -1.02
C 4.130 -1.093 1.420 -0.07 0.01 -0.02 -1.00
O 3.088 -0.735 -1.325 0.40 -0.04 -0.01 -0.74
H 6.791 -1.362 -0.513 0.00 0.00 0.00 0.38
H 6.082 -1.120 -2.133 0.01 0.00 0.01 0.35
H 5.617 -2.536 -1.166 0.00 0.00 0.01 0.35
H 5.884 1.474 0.224 0.01 -0.01 0.00 0.39
H 4.160 1.903 0.244 0.01 0.00 -0.01 0.34